(Listing)
The following is a quantum chemistry calculation of 8 unconnected molecules or ions with the total composition C10H37O11P, from the Open Molecules 2025 dataset.

```
59
Properties=species:S:1:pos:R:3:forces:R:3
H -20.665200 10.354430 8.405700 -0.18 0.42 -0.27
O -21.611480 15.704420 -2.056680 0.31 0.02 -1.82
O -21.033920 6.873000 9.429070 0.35 0.91 -1.57
H -19.513280 15.042650 4.318420 -0.04 0.85 -0.20
O -20.319060 15.335220 2.314020 0.33 -0.32 1.12
H -20.333220 15.146860 -3.741380 -0.88 0.15 0.11
H -25.166790 17.432110 2.888360 0.75 0.20 0.27
H -26.002100 16.084450 3.488170 -0.21 -0.53 -0.30
H -15.508770 13.869470 -2.871070 -0.43 0.49 0.80
H -22.050710 9.370100 8.096550 0.07 -0.56 -0.12
C -22.397430 5.416990 7.049120 0.02 0.40 0.30
H -16.873900 9.533010 5.224450 -0.60 0.21 0.00
H -20.722410 20.427650 2.897760 -0.25 0.13 0.11
O -21.722720 21.216070 1.252420 0.75 -0.77 0.22
O -19.109260 6.292500 7.826260 -2.36 0.51 -0.89
C -14.800620 17.618250 -0.187900 -0.10 0.39 1.10
H -18.489500 14.589760 2.906470 0.05 0.62 0.07
H -16.407260 10.688690 3.934970 -0.32 -0.32 -0.14
H -16.517800 12.369160 -2.844510 0.28 0.24 -1.03
H -19.687170 20.988100 1.630710 -0.05 0.07 -0.28
H -18.373120 6.683990 9.803440 -1.20 -0.41 0.02
H -21.726020 15.461440 -1.135030 0.87 -0.30 -0.07
C -21.087810 9.662190 7.677480 0.03 0.78 0.82
H -14.766410 12.350500 -2.544080 -0.05 -0.15 -0.06
H -14.136050 17.000870 -0.792280 -0.53 -0.09 -0.21
H -21.206240 15.242730 2.668930 -0.37 0.22 -0.34
C -16.438900 10.509080 5.009600 -0.38 0.30 -1.12
H -21.912890 4.441640 7.004250 0.30 0.22 -0.16
O -15.311380 16.800150 0.873170 0.36 -0.43 -0.40
C -15.688910 12.909490 -2.387260 -0.16 -2.18 -0.02
O -21.463680 6.527500 6.836270 0.97 0.52 1.61
P -20.493730 7.107170 8.061390 -0.61 -1.00 -0.65
H -22.919630 5.475740 8.004080 0.30 0.31 0.15
H -16.963800 11.377450 5.407730 -0.47 -0.24 0.41
O -16.036270 12.750690 -0.996670 0.55 1.66 -0.43
H -25.173310 15.213220 1.555420 -0.10 0.14 0.08
H -19.691070 16.320070 -2.579210 -0.04 0.16 -0.19
H -21.262490 10.142650 6.714800 0.27 -0.18 0.00
H -17.471880 5.538620 8.884890 -0.51 -0.41 -0.53
H -20.470220 19.413880 1.536210 -0.53 0.06 -0.66
H -24.379560 16.143100 4.011960 0.24 0.82 -0.05
O -20.093300 8.642680 7.585680 -0.85 -2.95 0.26
C -18.130890 6.400390 8.779230 2.87 1.18 1.85
H -16.441510 13.599520 -0.804710 -0.19 -0.03 0.76
C -20.621590 20.457260 1.812840 -0.06 0.63 0.57
O -15.112020 10.514230 5.387740 1.55 0.03 0.81
H -15.959320 17.238460 1.429650 0.09 0.39 -0.28
H -22.243840 20.672600 0.656880 0.13 -0.15 0.03
H -19.756960 13.624310 3.426500 -0.56 -0.26 -0.29
H -15.076090 10.347310 6.332430 0.21 0.02 0.04
H -17.456770 7.227990 8.558480 0.20 0.12 -0.64
C -25.009030 16.387400 3.156290 -0.59 -0.61 -0.06
C -19.505420 14.676320 3.291850 0.55 -1.11 -0.42
H -14.165520 18.416210 0.196830 0.13 0.11 0.26
H -15.605590 18.129880 -0.715500 0.02 -0.39 -0.49
H -23.168100 5.483210 6.281140 0.34 0.13 -0.17
C -20.316120 15.433990 -2.690020 -0.16 0.18 1.99
H -19.785020 14.644390 -2.158460 -0.09 -0.19 0.02
O -24.479290 15.645570 2.058440 -0.04 -0.02 0.07
```
Positions in Å, forces in eV/Å.

Properties
Multiplicity = 1
LUMO energy = 0.2 eV
Frontier orbital gap = 10.44 eV
Calculated total energy = -42778.2138 eV
SMILES = COP(=O)(OC)OC.CO.CO.CO.CO.CO.CO.CO

----------

Record 1
A 2-piece molecular cluster, C27H29N2O2 overall, computed with ωB97M-V with the def2-TZVPD basis set.

Cartesian coordinates (Å):
C: -5.40683 -1.26161 2.13933
C: -4.48429 -2.44772 1.84710
C: -3.12542 -1.82089 1.80084
C: -3.27131 -0.45815 2.17312
O: -4.55708 -0.07372 2.37721
C: -2.15970 0.38783 2.33682
C: -0.91119 -0.14610 2.13397
C: -0.72603 -1.46415 1.60004
C: 0.52462 -2.01305 1.25697
C: 1.80071 -1.43892 1.48316
C: 2.88267 -2.31834 1.78236
C: 4.14514 -1.79889 1.97842
C: 4.37754 -0.41169 1.76738
O: 5.68777 -0.05504 1.85488
C: 6.44384 -1.26791 2.22663
C: 5.45669 -2.43879 2.29780
C: 3.33937 0.47172 1.44484
C: 2.07211 -0.03887 1.34107
C: -1.87849 -2.30777 1.47447
H: -6.05270 -1.02673 1.28512
(Assignment)
Your job: count the lines further up that contain the word "with" and give the number alone.
(Completed)
2